[1]
Material: LiCoAsPd
Method: DFT, PBE
State: relaxed

Geometry as POSCAR:
```
LiCoAsPd
1.0
0.000 2.952 2.952
2.952 0.000 2.952
2.952 2.952 0.000
Li Co As Pd
1 1 1 1
direct
0.000 0.000 0.000 Li
0.750 0.750 0.750 Co
0.500 0.500 0.500 As
0.250 0.250 0.250 Pd
```

Calculated values
Polymorph energy (0 for the lowest one) = 0.000 eV/atom
Crystal system = cubic



[2]
Material: LiCo2As2Pd
Method: DFT, PBE
State: relaxed

Geometry as POSCAR:
```
LiCo2As2Pd
1.0
3.723 0.000 0.000
0.000 3.723 0.000
0.000 0.000 6.037
Li Co As Pd
1 2 2 1
direct
0.000 0.000 0.000 Li
0.000 0.500 0.665 Co
0.500 0.000 0.665 Co
0.000 0.000 0.427 As
0.500 0.500 0.897 As
0.500 0.500 0.314 Pd
```

Calculated values
Uncorrected energy = -5.55 eV/atom
Crystal system = tetragonal



[3]
Material: LiCoAsPd
Method: DFT, PBE
State: relaxed

Geometry as POSCAR:
```
LiCoAsPd
1.0
0.000 2.977 2.977
2.977 0.000 2.977
2.977 2.977 0.000
Li Co As Pd
1 1 1 1
direct
0.000 0.000 0.000 Li
0.500 0.500 0.500 Co
0.250 0.250 0.250 As
0.750 0.750 0.750 Pd
```

Calculated values
Polymorph energy (0 for the lowest one) = 0.061 eV/atom
Crystal system = cubic



[4]
Material: LiCoReAs
Method: DFT, PBE
State: relaxed

Geometry as POSCAR:
```
LiCoReAs
1.0
0.000 2.909 2.909
2.909 0.000 2.909
2.909 2.909 0.000
Li Co Re As
1 1 1 1
direct
0.000 0.000 0.000 Li
0.750 0.750 0.750 Co
0.250 0.250 0.250 Re
0.500 0.500 0.500 As
```

Calculated values
Polymorph energy (0 for the lowest one) = 0.000 eV/atom
Crystal system = cubic



[5]
Material: LiCoReAs
Method: DFT, PBE
State: relaxed

Geometry as POSCAR:
```
LiCoReAs
1.0
0.000 2.958 2.958
2.958 0.000 2.958
2.958 2.958 0.000
Li Co Re As
1 1 1 1
direct
0.000 0.000 0.000 Li
0.500 0.500 0.500 Co
0.750 0.750 0.750 Re
0.250 0.250 0.250 As
```

Calculated values
Polymorph energy (0 for the lowest one) = 0.213 eV/atom
Crystal system = cubic



[6]
Material: LiTaCoAs
Method: DFT, PBE
State: relaxed

Geometry as POSCAR:
```
LiTaCoAs
1.0
0.000 2.999 2.999
2.999 0.000 2.999
2.999 2.999 0.000
Li Ta Co As
1 1 1 1
direct
0.000 0.000 0.000 Li
0.750 0.750 0.750 Ta
0.500 0.500 0.500 Co
0.250 0.250 0.250 As
```

Calculated values
Polymorph energy (0 for the lowest one) = 0.000 eV/atom
Crystal system = cubic



[7]
Material: LiTaCoAs
Method: DFT, PBE
State: relaxed

Geometry as POSCAR:
```
LiTaCoAs
1.0
0.000 3.005 3.005
3.005 0.000 3.005
3.005 3.005 0.000
Li Ta Co As
1 1 1 1
direct
0.000 0.000 0.000 Li
0.250 0.250 0.250 Ta
0.750 0.750 0.750 Co
0.500 0.500 0.500 As
```

Calculated values
Polymorph energy (0 for the lowest one) = 0.070 eV/atom
Crystal system = cubic



[8]
Material: LiTlCoAs
Method: DFT, PBE
State: relaxed

Geometry as POSCAR:
```
LiTlCoAs
1.0
0.000 3.170 3.170
3.170 0.000 3.170
3.170 3.170 0.000
Li Tl Co As
1 1 1 1
direct
0.000 0.000 0.000 Li
0.250 0.250 0.250 Tl
0.500 0.500 0.500 Co
0.750 0.750 0.750 As
```

Calculated values
Polymorph energy (0 for the lowest one) = 0.000 eV/atom
Crystal system = cubic



[9]
Material: LiTlCoAs
Method: DFT, PBE
State: relaxed

Geometry as POSCAR:
```
LiTlCoAs
1.0
0.000 3.283 3.283
3.283 0.000 3.283
3.283 3.283 0.000
Li Tl Co As
1 1 1 1
direct
0.000 0.000 0.000 Li
0.250 0.250 0.250 Tl
0.750 0.750 0.750 Co
0.500 0.500 0.500 As
```

Calculated values
Polymorph energy (0 for the lowest one) = 0.265 eV/atom
Crystal system = cubic



[10]
Material: LiCoAsW
Method: DFT, PBE
State: relaxed

Geometry as POSCAR:
```
LiCoAsW
1.0
0.000 2.948 2.948
2.948 0.000 2.948
2.948 2.948 0.000
Li Co As W
1 1 1 1
direct
0.000 0.000 0.000 Li
0.250 0.250 0.250 Co
0.500 0.500 0.500 As
0.750 0.750 0.750 W
```

Calculated values
Polymorph energy (0 for the lowest one) = 0.000 eV/atom
Crystal system = cubic



[11]
Material: LiCoAsW
Method: DFT, PBE
State: relaxed

Geometry as POSCAR:
```
LiCoAsW
1.0
0.000 2.975 2.975
2.975 0.000 2.975
2.975 2.975 0.000
Li Co As W
1 1 1 1
direct
0.000 0.000 0.000 Li
0.500 0.500 0.500 Co
0.250 0.250 0.250 As
0.750 0.750 0.750 W
```

Calculated values
Polymorph energy (0 for the lowest one) = 0.089 eV/atom
The reader should search the rows further above for the word "eV" and transcribe each line that has it.
Polymorph energy (0 for the lowest one) = 0.000 eV/atom
Uncorrected energy = -5.55 eV/atom
Polymorph energy (0 for the lowest one) = 0.061 eV/atom
Polymorph energy (0 for the lowest one) = 0.000 eV/atom
Polymorph energy (0 for the lowest one) = 0.213 eV/atom
Polymorph energy (0 for the lowest one) = 0.000 eV/atom
Polymorph energy (0 for the lowest one) = 0.070 eV/atom
Polymorph energy (0 for the lowest one) = 0.000 eV/atom
Polymorph energy (0 for the lowest one) = 0.265 eV/atom
Polymorph energy (0 for the lowest one) = 0.000 eV/atom
Polymorph energy (0 for the lowest one) = 0.089 eV/atom